[To do]
Next, repeat the whole of the lines further down with every line break kept.
[Entries]
1.
First-principles (PBE) data for an optimized crystal structure of Ba2AlInO5, as listed in Materials Project.

```
Ba2AlInO5
1.0
2.9665 -5.1381 0.0000
2.9665 5.1381 0.0000
0.0000 0.0000 19.9825
O Al Ba In
20 4 8 4
Cartesian
2.9665 3.4611 17.2982
4.4806 0.8385 12.6755
0.0000 0.0000 4.9956
4.4806 -0.8385 7.3069
2.9665 0.0000 0.0000
2.9665 3.4611 12.6755
1.4523 0.8385 17.2982
1.4832 2.5690 9.9912
1.4832 -2.5690 0.0000
1.4832 2.5690 0.0000
1.4523 -0.8385 2.6843
2.9665 0.0000 9.9912
4.4806 -0.8385 2.6843
4.4806 0.8385 17.2982
0.0000 0.0000 14.9868
1.4523 -0.8385 7.3069
2.9665 -3.4611 2.6843
2.9665 -3.4611 7.3069
1.4523 0.8385 12.6755
1.4832 -2.5690 9.9912
0.0000 0.0000 3.2634
0.0000 0.0000 13.2546
0.0000 0.0000 6.7278
0.0000 0.0000 16.7191
2.9665 -1.7127 12.1076
2.9665 -1.7127 17.8661
2.9665 1.7127 7.8748
2.9665 -1.7127 4.9956
0.0000 0.0000 9.9912
2.9665 1.7127 14.9868
0.0000 0.0000 0.0000
2.9665 1.7127 2.1164
2.9665 -1.7127 8.6574
2.9665 -1.7127 1.3339
2.9665 1.7127 11.3251
2.9665 1.7127 18.6486
```

## Properties
V = 609.1 Å³ per cell
ΔE_f = -2.87 eV per atom
DFT total energy = -230.02 eV for the cell shown

=====

2.
First-principles (PBE) data for an optimized crystal structure of Ba4AlIr2O10, as listed in Materials Project.

```
Ba4AlIr2O10
1.0
2.8963 -6.7386 0.0000
2.8963 6.7386 0.0000
0.0000 0.0000 13.3063
O Al Ir Ba
20 2 4 8
Cartesian
4.3167 -1.7168 9.9270
4.4746 -1.9003 12.7806
1.6258 -1.8991 7.2138
4.4746 1.9003 6.1274
2.8963 0.3175 8.6886
2.8963 6.4674 4.6085
4.1669 -1.8991 7.2138
1.4760 1.7168 3.2738
2.8963 3.8201 2.0041
2.8963 2.9645 11.3328
1.6258 1.8991 0.5606
1.3180 1.9003 6.1274
2.8963 -6.4674 11.2617
2.8963 -2.9645 4.6797
1.3180 -1.9003 12.7806
2.8963 -0.3175 2.0354
4.3167 1.7168 3.2738
4.1669 1.8991 0.5606
2.8963 -3.8201 8.6573
1.4760 -1.7168 9.9270
2.8963 1.4743 2.0369
2.8963 -1.4743 8.6900
2.8963 3.3687 0.0587
2.8963 -3.3687 6.7119
2.8963 5.0597 11.2565
2.8963 -5.0597 4.6033
2.8963 -2.9109 1.8500
2.8963 -0.1728 5.1615
2.8963 6.6137 1.5413
2.8963 -6.6137 8.1945
2.8963 -3.8076 11.3754
2.8963 0.1728 11.8146
2.8963 2.9109 8.5031
2.8963 3.8076 4.7223
```

## Properties
V = 519.4 Å³ per cell
ΔE_f = -2.47 eV per atom
DFT total energy = -227.34 eV for the cell shown

=====

3.
First-principles (PBE) data for an optimized crystal structure of KBa7Al15Si17O64, as listed in Materials Project.

```
KBa7Al15Si17O64
1.0
-0.1252 8.3832 2.5153
9.3627 -1.1317 0.1578
0.9712 2.7828 -18.6778
Si O Ba Al K
17 64 7 15 1
Cartesian
7.5197 6.2860 -16.6823
4.2551 0.1178 -1.8142
8.7584 0.1910 -2.3498
2.6386 2.1178 -13.3794
3.2407 1.8184 -8.3902
9.2665 1.5909 -11.7081
7.0506 4.9155 -7.3454
5.8943 9.9630 -14.2081
7.5503 4.7557 -2.3836
5.8898 4.4063 -10.1425
2.6728 5.3089 -13.5848
2.7079 3.7151 0.6556
2.1779 3.8875 -4.2791
8.0529 6.1630 -11.7329
5.4813 8.5599 -4.8637
3.7170 3.2663 -17.7702
2.1109 0.6988 -4.0064
1.3345 4.3287 0.0075
8.2551 1.8426 -12.9579
2.9311 3.3988 -8.2616
5.1139 8.5315 -14.2693
4.9855 1.5605 -1.7868
3.2725 8.3712 -0.7182
9.1424 1.5368 -1.5549
9.2763 5.8696 -10.7258
7.9137 4.1536 -3.8739
6.6634 1.7406 -15.2157
8.7576 4.4212 -1.3448
4.1292 5.9900 -13.9593
6.6539 5.3465 -11.2834
2.3241 2.5253 -17.4443
7.1329 6.3283 -2.4001
3.0470 3.6935 -13.6126
9.6031 2.9520 -10.8903
6.2767 6.1413 -15.6166
8.2903 4.0686 -6.6642
2.3467 5.8420 -12.0765
0.9727 4.1446 -5.3309
4.4797 1.3960 -7.3875
2.5510 2.2625 -4.2419
3.9311 3.9360 -0.4055
1.8391 1.0740 -8.0022
4.7634 7.0911 -4.8404
9.0353 -0.0914 -6.2306
6.1137 4.0051 -2.0375
6.8610 5.0783 1.6599
1.0813 8.4534 -14.5783
5.7470 4.7622 -6.3745
8.8799 5.6520 -16.0287
5.1345 7.2339 0.5910
6.8243 4.1422 -8.8079
2.4109 9.6558 -12.2413
6.2800 2.6528 0.6299
1.9126 8.1950 -2.8412
1.7168 5.7176 -9.3000
8.5791 8.9315 -8.0373
4.5694 5.2677 -9.7502
3.1376 -0.0251 -0.6189
0.5793 7.0060 -5.2391
6.9850 10.1347 -15.3898
3.6281 4.5873 -4.6417
3.5087 4.8823 -17.7284
3.8564 7.3247 -16.6302
7.7971 0.4872 -3.6303
4.9342 2.8482 -16.7546
8.0063 7.4979 1.2304
3.5484 1.2904 -9.8954
9.3478 9.6538 -13.0464
[Response]
1.
First-principles (PBE) data for an optimized crystal structure of Ba2AlInO5, as listed in Materials Project.

```
Ba2AlInO5
1.0
2.9665 -5.1381 0.0000
2.9665 5.1381 0.0000
0.0000 0.0000 19.9825
O Al Ba In
20 4 8 4
Cartesian
2.9665 3.4611 17.2982
4.4806 0.8385 12.6755
0.0000 0.0000 4.9956
4.4806 -0.8385 7.3069
2.9665 0.0000 0.0000
2.9665 3.4611 12.6755
1.4523 0.8385 17.2982
1.4832 2.5690 9.9912
1.4832 -2.5690 0.0000
1.4832 2.5690 0.0000
1.4523 -0.8385 2.6843
2.9665 0.0000 9.9912
4.4806 -0.8385 2.6843
4.4806 0.8385 17.2982
0.0000 0.0000 14.9868
1.4523 -0.8385 7.3069
2.9665 -3.4611 2.6843
2.9665 -3.4611 7.3069
1.4523 0.8385 12.6755
1.4832 -2.5690 9.9912
0.0000 0.0000 3.2634
0.0000 0.0000 13.2546
0.0000 0.0000 6.7278
0.0000 0.0000 16.7191
2.9665 -1.7127 12.1076
2.9665 -1.7127 17.8661
2.9665 1.7127 7.8748
2.9665 -1.7127 4.9956
0.0000 0.0000 9.9912
2.9665 1.7127 14.9868
0.0000 0.0000 0.0000
2.9665 1.7127 2.1164
2.9665 -1.7127 8.6574
2.9665 -1.7127 1.3339
2.9665 1.7127 11.3251
2.9665 1.7127 18.6486
```

## Properties
V = 609.1 Å³ per cell
ΔE_f = -2.87 eV per atom
DFT total energy = -230.02 eV for the cell shown

=====

2.
First-principles (PBE) data for an optimized crystal structure of Ba4AlIr2O10, as listed in Materials Project.

```
Ba4AlIr2O10
1.0
2.8963 -6.7386 0.0000
2.8963 6.7386 0.0000
0.0000 0.0000 13.3063
O Al Ir Ba
20 2 4 8
Cartesian
4.3167 -1.7168 9.9270
4.4746 -1.9003 12.7806
1.6258 -1.8991 7.2138
4.4746 1.9003 6.1274
2.8963 0.3175 8.6886
2.8963 6.4674 4.6085
4.1669 -1.8991 7.2138
1.4760 1.7168 3.2738
2.8963 3.8201 2.0041
2.8963 2.9645 11.3328
1.6258 1.8991 0.5606
1.3180 1.9003 6.1274
2.8963 -6.4674 11.2617
2.8963 -2.9645 4.6797
1.3180 -1.9003 12.7806
2.8963 -0.3175 2.0354
4.3167 1.7168 3.2738
4.1669 1.8991 0.5606
2.8963 -3.8201 8.6573
1.4760 -1.7168 9.9270
2.8963 1.4743 2.0369
2.8963 -1.4743 8.6900
2.8963 3.3687 0.0587
2.8963 -3.3687 6.7119
2.8963 5.0597 11.2565
2.8963 -5.0597 4.6033
2.8963 -2.9109 1.8500
2.8963 -0.1728 5.1615
2.8963 6.6137 1.5413
2.8963 -6.6137 8.1945
2.8963 -3.8076 11.3754
2.8963 0.1728 11.8146
2.8963 2.9109 8.5031
2.8963 3.8076 4.7223
```

## Properties
V = 519.4 Å³ per cell
ΔE_f = -2.47 eV per atom
DFT total energy = -227.34 eV for the cell shown

=====

3.
First-principles (PBE) data for an optimized crystal structure of KBa7Al15Si17O64, as listed in Materials Project.

```
KBa7Al15Si17O64
1.0
-0.1252 8.3832 2.5153
9.3627 -1.1317 0.1578
0.9712 2.7828 -18.6778
Si O Ba Al K
17 64 7 15 1
Cartesian
7.5197 6.2860 -16.6823
4.2551 0.1178 -1.8142
8.7584 0.1910 -2.3498
2.6386 2.1178 -13.3794
3.2407 1.8184 -8.3902
9.2665 1.5909 -11.7081
7.0506 4.9155 -7.3454
5.8943 9.9630 -14.2081
7.5503 4.7557 -2.3836
5.8898 4.4063 -10.1425
2.6728 5.3089 -13.5848
2.7079 3.7151 0.6556
2.1779 3.8875 -4.2791
8.0529 6.1630 -11.7329
5.4813 8.5599 -4.8637
3.7170 3.2663 -17.7702
2.1109 0.6988 -4.0064
1.3345 4.3287 0.0075
8.2551 1.8426 -12.9579
2.9311 3.3988 -8.2616
5.1139 8.5315 -14.2693
4.9855 1.5605 -1.7868
3.2725 8.3712 -0.7182
9.1424 1.5368 -1.5549
9.2763 5.8696 -10.7258
7.9137 4.1536 -3.8739
6.6634 1.7406 -15.2157
8.7576 4.4212 -1.3448
4.1292 5.9900 -13.9593
6.6539 5.3465 -11.2834
2.3241 2.5253 -17.4443
7.1329 6.3283 -2.4001
3.0470 3.6935 -13.6126
9.6031 2.9520 -10.8903
6.2767 6.1413 -15.6166
8.2903 4.0686 -6.6642
2.3467 5.8420 -12.0765
0.9727 4.1446 -5.3309
4.4797 1.3960 -7.3875
2.5510 2.2625 -4.2419
3.9311 3.9360 -0.4055
1.8391 1.0740 -8.0022
4.7634 7.0911 -4.8404
9.0353 -0.0914 -6.2306
6.1137 4.0051 -2.0375
6.8610 5.0783 1.6599
1.0813 8.4534 -14.5783
5.7470 4.7622 -6.3745
8.8799 5.6520 -16.0287
5.1345 7.2339 0.5910
6.8243 4.1422 -8.8079
2.4109 9.6558 -12.2413
6.2800 2.6528 0.6299
1.9126 8.1950 -2.8412
1.7168 5.7176 -9.3000
8.5791 8.9315 -8.0373
4.5694 5.2677 -9.7502
3.1376 -0.0251 -0.6189
0.5793 7.0060 -5.2391
6.9850 10.1347 -15.3898
3.6281 4.5873 -4.6417
3.5087 4.8823 -17.7284
3.8564 7.3247 -16.6302
7.7971 0.4872 -3.6303
4.9342 2.8482 -16.7546
8.0063 7.4979 1.2304
3.5484 1.2904 -9.8954
9.3478 9.6538 -13.0464